Tip #1. Be prepared.
This definitely helped me a lot in every aspect. Being prepared means you are ready to take action and own it.
How to prepare?
## Misplaced materials data
********
Structure and simulated powder X-ray diffraction pattern of CoBiPb2 (a cell relaxed with GGA-PBE; λ = 1.5418 Å (Cu Kα)).
Lines closer than 0.1° are merged.

Structure:
```
data_CoBiPb2
_chemical_formula_sum 'Co4 Bi4 Pb8'
_space_group_name_H-M_alt 'F -4 3 m'
_space_group_IT_number 216
_space_group_name_Hall 'F -4 2 3'
_cell_length_a 7.4077
_cell_length_b 7.4077
_cell_length_c 7.4077
_cell_angle_alpha 90.00
_cell_angle_beta 90.00
_cell_angle_gamma 90.00
loop_
_atom_site_label
_atom_site_type_symbol
_atom_site_fract_x
_atom_site_fract_y
_atom_site_fract_z
Co1 Co 0.0000 0.0000 0.0000
Bi1 Bi 0.2500 0.2500 0.7500
Pb1 Pb 0.0000 0.0000 0.5000
Pb2 Pb 0.2500 0.2500 0.2500
```

Main lines, by angle (10° ≤ 2θ ≤ 80°):
| 2θ/deg | d/Å | Rel. int. | index |
| --- | --- | --- | --- |
| 20.8 | 4.277 | 10 | 1 1 1 |
| 24.0 | 3.704 | 5 | 2 0 0 |
| 34.2 | 2.619 | 100 | 2 2 0 |
| 40.4 | 2.234 | 6 | 3 1 1 |
| 49.2 | 1.852 | 18 | 4 0 0 |
| 54.0 | 1.699 | 3 | 3 3 1 |
| 55.5 | 1.656 | 2 | 4 2 0 |
| 61.3 | 1.512 | 38 | 4 2 2 |
| 72.1 | 1.310 | 12 | 4 4 0 |
| 76.0 | 1.252 | 2 | 5 3 1 |

=====

Structure and simulated powder X-ray diffraction pattern of ZnCoBiPt (a cell relaxed with GGA-PBE; λ = 1.5418 Å (Cu Kα)).
Lines closer than 0.1° are merged.

Structure:
```
data_ZnCoBiPt
_chemical_formula_sum 'Zn4 Co4 Bi4 Pt4'
_space_group_name_H-M_alt 'F -4 3 m'
_space_group_IT_number 216
_space_group_name_Hall 'F -4 2 3'
_cell_length_a 6.4781
_cell_length_b 6.4781
_cell_length_c 6.4781
_cell_angle_alpha 90.00
_cell_angle_beta 90.00
_cell_angle_gamma 90.00
loop_
_atom_site_label
_atom_site_type_symbol
_atom_site_fract_x
_atom_site_fract_y
_atom_site_fract_z
Zn1 Zn 0.0000 0.0000 0.0000
Co1 Co 0.2500 0.2500 0.7500
Bi1 Bi 0.0000 0.0000 0.5000
Pt1 Pt 0.2500 0.2500 0.2500
```

Main lines, by angle (10° ≤ 2θ ≤ 80°):
| 2θ/deg | d/Å | Rel. int. | index |
| --- | --- | --- | --- |
| 23.8 | 3.740 | 29 | 1 1 1 |
| 39.3 | 2.290 | 100 | 2 2 0 |
| 46.5 | 1.953 | 16 | 3 1 1 |
| 56.9 | 1.620 | 17 | 4 0 0 |
| 62.5 | 1.486 | 7 | 3 3 1 |
| 71.3 | 1.322 | 35 | 4 2 2 |
| 76.4 | 1.247 | 5 | 5 1 1 |

=====

Structure and simulated powder X-ray diffraction pattern of Co2Bi8S (a cell relaxed with GGA-PBE; λ = 1.5418 Å (Cu Kα)).
Lines closer than 0.1° are merged.

Structure:
```
data_Co2Bi8S
_chemical_formula_sum 'Co8 Bi32 S4'
_space_group_name_H-M_alt 'P 42/m n m'
_space_group_IT_number 136
_space_group_name_Hall '-P 4n 2n'
_cell_length_a 11.1498
_cell_length_b 11.1498
_cell_length_c 9.5165
_cell_angle_alpha 90.00
_cell_angle_beta 90.00
_cell_angle_gamma 90.00
loop_
_atom_site_label
_atom_site_type_symbol
_atom_site_fract_x
_atom_site_fract_y
_atom_site_fract_z
Co1 Co 0.2071 0.2071 0.2349
Bi1 Bi 0.0000 0.0000 0.3214
Bi2 Bi 0.0537 0.6998 0.1876
Bi3 Bi 0.1069 0.1069 0.0000
Bi4 Bi 0.1809 0.1809 0.5000
Bi5 Bi 0.1939 0.8061 0.5000
S1 S 0.0000 0.5000 0.0000
```

Main lines, by angle (10° ≤ 2θ ≤ 80°):
| 2θ/deg | d/Å | Rel. int. | index |
| --- | --- | --- | --- |
| 25.7 | 3.462 | 29 | 3 0 1 |
********
Research the client to learn as much as you could about their business and to be able to understand further. I have printed out questionnaires with answers. Sometimes I call it my cheat sheet.
You’ll find that some customers will jump right in and tell you all about what they’re looking for or what they want, and you won’t have to do much but listen and ask a couple of questions. Other clients will want you to steer the conversation, so be ready either way.
Make sure to have your notebook ready, this old but gold. Take down some notes so you can ask some questions later. That way you are not interrupting the customer and they will not get distracted.
Tip #2. Create a script.
In order for me not to forget what to say and what to ask, I decided to create my own script. As time goes by, my script keeps improving and being innovated until I get the right one. This script also helps me in becoming more confident and avoiding to stumble over my words.
Tip #3. Pretend you’re speaking to your friend.
Talking to someone you don’t know may cause awkwardness and uncomfortable. Pretend that the person you are talking to is an old friend and you are just talking casually about life.
Tip #4. Hold your calls in a quiet place.
Find a quiet place in your home to hold your calls so unnecessary noises will not get you and the customer distracted. You don’t want your children asking questions or dogs barking in the background when you’re on the call.
Tip #5. Give yourself a breather
Make sure to always put a space in between your schedule. It helps to have a few minutes to collect yourself, breathe, or stretch if you need to. This also prevents you from rushing that might affect your performance.
Tip #6. Have a glass of water nearby.
Your mouth might get dry when you’re nervous, so having a drink within your reach is a good idea. You don’t want to interrupt your call to get up and get a glass of water.
Tip #7. Give yourself a pep talk.
For instance, you can say something like, “I’m really excited to speak to this person. Whatever the outcome, we’re going to have a smooth conversation,” or you can say something like, “I can do anything because I can do so”. Pat your back and tell things to yourself that make you confident.
Tip #8. Stay positive, there are only two outcomes, and they’re both good.
You’ll either start working with a new client who’s a good fit or learn that the other person is not a good fit, saving you both lots of time and trouble.
A client who is not a good fit for you might know someone to whom they can refer you.
Final Tip #9. Keep in mind that taking action is better than being perfect.
You may not have all the answers or feel fully prepared, but hopping in is sometimes the best thing you can do. That’s where you’ll learn what you need to do instead of guessing and overthinking it.
## These materials data were left in the piece by mistake
┌──
Entry 1:
Starting from a cell relaxed with PBE, the XRD peak list of Pa6BeC5 was computed for a wavelength of 1.5418 Å.
Neutral-atom scattering factors, no anomalous dispersion.

Cell and atoms:
abc: 6.0862 6.0862 12.4178
angles: 90.00 90.00 120.00
Space group P6_3/mcm (No. 193)
One atom of each set of equivalent atoms:
Pa (0.0000, 0.3456, 0.1177) [12 per cell]
Be (0.0000, 0.0000, 0.2500) [2 per cell]
C (0.0000, 0.2982, 0.7500) [6 per cell]
C (0.3333, 0.6667, 0.0000) [4 per cell]

Largest 6 diffraction maxima, in order of rising 2θ, 5 to 70 degrees two-theta:
index  d [Å]  2θ/deg  I/Imax
0 0 4  3.104  28.76  53
1 1 0  3.043  29.35  41
1 1 1  2.956  30.24  100
1 1 3  2.452  36.65  96
3 0 0  1.757  52.05  38
3 0 4  1.529  60.55  41

Entry 2:
Starting from a cell relaxed with PBE, the XRD peak list of Be2PbC was computed for a wavelength of 1.5418 Å.
Neutral-atom scattering factors, no anomalous dispersion.

Cell and atoms:
abc: 5.534 5.534 7.819
angles: 90.00 90.00 90.00
Space group I-42d (No. 122)
One atom of each set of equivalent atoms:
Be (0.001, 0.250, 0.125) [8 per cell]
Pb (0.000, 0.000, 0.500) [4 per cell]
C (0.000, 0.000, 0.000) [4 per cell]

Largest 6 diffraction maxima, in order of rising 2θ, 5 to 70 degrees two-theta:
index  d [Å]  2θ/deg  I/Imax
1 0 1  4.517  19.65  78
2 0 0  2.766  32.36  100
2 1 1  2.359  38.15  57
3 0 1  1.795  50.87  22
3 1 2  1.597  57.72  39
3 2 1  1.506  61.59  20

Entry 3:
Starting from a cell relaxed with PBE, the XRD peak list of Pm2BeC2 was computed for a wavelength of 1.5418 Å.
Neutral-atom scattering factors, no anomalous dispersion.

Cell and atoms:
abc: 11.093 5.245 7.599
angles: 90.00 130.54 90.00
Space group C2/m (No. 12)
One atom of each set of equivalent atoms:
Pm (0.100, 0.000, 0.310) [4 per cell]
Pm (0.173, 0.500, 0.052) [4 per cell]
Be (0.120, 0.500, 0.647) [4 per cell]
C (0.059, 0.500, 0.361) [4 per cell]
C (0.179, 0.000, 0.080) [4 per cell]

Largest 6 diffraction maxima, in order of rising 2θ, 5 to 70 degrees two-theta:
index  d [Å]  2θ/deg  I/Imax
1 1 1  3.056  29.23  27
3 1 -1  2.977  30.02  100
1 1 -2  2.924  30.57  88
2 0 1  2.676  33.49  39
0 2 0  2.622  34.19  48
4 0 -3  2.393  37.59  37

Entry 4:
Starting from a cell relaxed with PBE, the XRD peak list of Pm2BeSiC was computed for a wavelength of 1.5418 Å.
Neutral-atom scattering factors, no anomalous dispersion.

Cell and atoms:
abc: 6.505 3.836 8.157
angles: 90.00 107.77 90.00
Space group P2_1/m (No. 11)
One atom of each set of equivalent atoms:
Pm (0.204, 0.250, 0.393) [2 per cell]
Pm (0.218, 0.250, 0.961) [2 per cell]
Be (0.452, 0.750, 0.245) [2 per cell]
Si (0.343, 0.750, 0.704) [2 per cell]
C (0.179, 0.750, 0.175) [2 per cell]

Largest 6 diffraction maxima, in order of rising 2θ, 5 to 70 degrees two-theta:
index  d [Å]  2θ/deg  I/Imax
1 1 0  3.261  27.35  88
2 0 0  3.097  28.83  46
1 0 2  2.915  30.67  30
2 0 -2  2.889  30.95  33
0 1 2  2.726  32.86  100
2 2 0  1.630  56.45  22

Entry 5:
└──
Remember, discovery calls aren’t just so the other person can see if you’re the right person for the job. It’s also for you so you can determine if you can help this person and if you want to help this person.